That Is Heather |
I know her for years, We same school, She is cool |
That Heather, (She is Straight) I
know her for years, we met same School call The Mount school for deaf in Stoke, I am 8 and she 5 years
old, we not same class, just around of school and Playtime and funny play and silly thing and Game and went Fair, See photo we
was witch for Halloween night in our school party and past so young, Abt She 7 year old she ask me want
went her sleepover and I say yeah, All years I visit her lots and come mine too, Her Birthday and
hoilday and play and go out, I know her 13-14 years, we still visit and sleepover, I know her so well, I know
her Family well too, My Mum and her Mum was Mate too and talk lots and long talk, We help each other, I have
lots photo of us and past of School, We have been play Spice Girls for Player Show and lots People see us, It cool
time in there school, That finish school at 2002 July, we miss that school, cos that Mount school been change name school
and Deaf and Hearing Mix school 2003/4! So I leave school cos I am 16 (1999) finish school and She
14, Heather leave (1999) too then I went Derby College and I shock, I see her walk close me and I
see her and I Say (soft) Hey and what you doing here! She went Derby school too I not know that
she never told me that I know she leave school and never said where other school is, I am happy, We still see each
other in Derby cos that plane near school and college for Deaf, we fisish Derby College/School, I am leave College when
I am 18, She 16, She stay Derby college for two year, She leave Dreby college she is 18 and She went
college her near home, Just one day and Sometime She Broing or free but I still can visit and
see her, cos we live near and sometime I have Plan and phone her mum or her, I use get bus just 30 min away
or 45min if have some lots Stop and Train too cos fast, Ask her Mum or Dad pick me and me bus and walk
visit her house and see her anytime when I am Free, We have Been talk on MSN and Text each other,
It Good Still Mate for fovever!
Ha Old Photo |

We see Good Old Photo |
Andy U |

My Other Best Mate Forever |
That is Andy U (He is Gay) I know him for years same as Heather, he same my school and same Taxi to home,, we live
near, I am abt 8 and he 6 years old, When we Have boring in Taxi so have been play thing a Draw and Play Doll
and Talk, we have play Playtime with him, we not same Class, He with Heather, He have Deaf Sis, is my good Mate we same
Class and Taxi too, we have been visit his House and his Farm, a Family and Pets, so His Sis move other School when she
was 13 years old, same ago me was 1 year old then her, she leave school, so That Andy stay school, so his Mum like he with
his Sis Mix he leave school when he was abt 10 or 11, I was Alone in Taxi to Home, I not have see
him for 7 years, but have see him one day,, like a Deaf Party, Like Bowling evary year, and sometime bump
him and his Sis in Towm, cos we live near. I can't visit his House cos I am Young not know how to Bus, his house
bit far from my home, Me and him not good mate anymore so not see him, so sometime, I feel Broing and nope mate
in My home, so I think abt Andy and his Sis, I still can't visit them, I not bit ready with him cos not see them
for long ago, so he move house near my Town, that I not know, when I am 20 years old I met his Mum, I with her, what for? she help me A Sign in my college, I ask her "How Andy
and his Sis, she said they fine, and want met them, I was not bit ready,, later our free Time for my Lunch
and she say want met them now in Lunch, Then I say ok,, and met them in Cafe, I was happy see them, cos I not
see them for long time ago, I not know then near town and move it, Andy have Job it Toin&Guy, he olny Free On Tues,
he like met me Again, we Give our New Mob Num, he met me and go Town and talk and other,, when I am finish My College
at Lunch time and I met him and go Shop and help me feel like A girl and A Hair, and he show me his New House and it
was Near of Town and I visit him lots time, his Sis sometime not there,, cos she go College in Nottingham University,he
want me go his Toin&Guy and for my colour he ask me want make my Colour and Cut my Hair, cos my Hair so long and
not good look, so he cut my hair bit off, For every one month he make my change hair, Been A Pink and Blue and
Red and Blonde and Brown, other day, he ask me want go with him Nigthclub and I say yeah, and with Becky, I
sleep his House, Other day again he ask me want go Alton Tower with him on April 15th 2004, Becky come too, we have good time
in there,, it wram day, so, we stay see other each, stay make my hair and Shop and help me lots, other go Nightclub again,
that was Great Time there have met new mates, other we go see Show of his Dad Horse, on Summer, I not have see him for
one month cos I have been busy go Hoilday and other, and he have job, so On 24 aug, he phone me and want met him, I
say ok,, what time , at 12pm, he can't, he say want met at 10am, I say ok so I met him, and we have Went to
Cafe and have talk and good funny, and cos I not have see him for one
month, I miss him, so we have Best Mate, Thx Andy, he have been help me lots, we still see each Other, See you Around
Andy xxx
That My First Met Her |

Misplaced data records.
A plane-wave DFT calculation with PBE was carried out for an optimized crystal structure of Nb2B2Mo.

E in eV per atom: -9.523
Energy of formation from the pure elements in meV/atom: -642

Cell lengths 6.130, 6.130, 3.303 Å; angles 90.00, 90.00, 90.00 degrees
Space group P4/mbm (No. 127)
One atom of each set of equivalent atoms:
Nb  0.179  0.321  0.000
B  0.109  0.609  0.500
Mo  0.000  0.000  0.500

~~~~~

The following is a DFT calculation (GGA+U) of a relaxed structure of NaPrCuWO6.

Cell lengths 5.3693, 5.3693, 8.5719 Å; angles 90.00, 90.00, 90.00 degrees
Closest atoms and distances in Å follow each position.
Element x y z (fractional)
1 Na 0.0000 0.5000 0.2500  8 O 2.61-2.69
2 Na 0.5000 0.0000 0.7500  8 O 2.61-2.69
3 Pr 0.0000 0.5000 0.7500  8 O 2.52-2.69
4 Pr 0.5000 0.0000 0.2500  8 O 2.52-2.69
5 Cu 0.0000 0.0000 0.0000  4 O 1.98
6 Cu 0.5000 0.5000 0.5000  4 O 1.98
7 W 0.0000 0.0000 0.5000  6 O 1.94-1.96
8 W 0.5000 0.5000 0.0000  6 O 1.94-1.96
9 O 0.0000 0.0000 0.2713  1 W 1.96
10 O 0.0000 0.0000 0.7287  1 W 1.96
11 O 0.1839 0.3114 0.5064  1 W 1.94, 1 Cu 1.98
12 O 0.1886 0.3161 0.9936  1 W 1.94, 1 Cu 1.98
13 O 0.3114 0.8161 0.4936  1 W 1.94, 1 Cu 1.98
14 O 0.3161 0.8114 0.0064  1 W 1.94, 1 Cu 1.98
15 O 0.5000 0.5000 0.2287  1 W 1.96
16 O 0.5000 0.5000 0.7713  1 W 1.96
17 O 0.6839 0.1886 0.0064  1 W 1.94, 1 Cu 1.98
18 O 0.6886 0.1839 0.4936  1 W 1.94, 1 Cu 1.98
19 O 0.8114 0.6839 0.9936  1 W 1.94, 1 Cu 1.98
20 O 0.8161 0.6886 0.5064  1 W 1.94, 1 Cu 1.98

Values from the calculation:
ρ ... 6.82 Mg/m³
Total DFT energy (no corrections) ... -134.33 eV for the cell shown
Space-group type ... No. 118

~~~~~

# 1
The following is a DFT calculation (PBE) of a relaxed RbB6H18N4 crystal.

a b c (Å): 8.072 15.061 9.833
angles (deg): 90.00 90.00 90.00
Sites, in units of the cell vectors:
1 B 0.794 0.478 0.000
2 B 0.294 0.022 0.500
3 B 0.420 0.041 0.354
4 B 0.054 0.609 0.000
5 B 0.080 0.541 0.146
6 B 0.122 0.430 0.091
7 B 0.554 0.891 0.500
8 B 0.622 0.070 0.409
9 B 0.580 0.959 0.646
10 B 0.920 0.459 0.146
11 B 0.878 0.570 0.091
12 B 0.122 0.430 0.909
13 B 0.080 0.541 0.854
14 B 0.706 0.978 0.500
15 B 0.920 0.459 0.854
16 B 0.206 0.522 0.000
17 B 0.946 0.391 0.000
18 B 0.420 0.041 0.646
19 B 0.580 0.959 0.354
20 B 0.378 0.930 0.409
21 B 0.378 0.930 0.591
22 B 0.622 0.070 0.591
23 B 0.878 0.570 0.909
24 B 0.446 0.109 0.500
25 H 0.645 0.064 0.083
26 H 0.464 0.764 0.754
27 H 0.638 0.930 0.250
28 H 0.208 0.381 0.157
29 H 0.862 0.430 0.750
30 H 0.292 0.881 0.657
31 H 0.853 0.963 0.500
32 H 0.135 0.175 0.084
33 H 0.557 0.696 0.140
34 H 0.362 0.070 0.750
35 H 0.910 0.313 0.000
36 H 0.145 0.436 0.417
37 H 0.355 0.936 0.083
38 H 0.354 0.697 0.851
39 H 0.635 0.325 0.416
40 H 0.635 0.325 0.584
41 H 0.057 0.804 0.360
42 H 0.792 0.619 0.157
43 H 0.279 0.852 0.000
44 H 0.647 0.463 0.000
45 H 0.721 0.148 0.000
46 H 0.854 0.803 0.649
47 H 0.865 0.825 0.084
48 H 0.862 0.430 0.250
49 H 0.145 0.436 0.583
50 H 0.208 0.381 0.843
51 H 0.355 0.936 0.917
52 H 0.146 0.197 0.649

Me and L..P in FYD and not know it her! me was under of girl and next of her |
L.p's Baby |

• Unrelated to this piece: calculated crystals:
(1)
LaAg2 | the Materials Project | r2SCAN | relaxed; space group = No. 12
1.0
-4.838 0.000 0.005
-2.423 -3.698 4.092
-2.423 3.698 4.092
La Ag
2 4
direct
0.464 0.285 0.785
0.536 0.715 0.215
0.834 0.710 0.622
0.166 0.878 0.790
0.166 0.290 0.378
0.834 0.122 0.210

(2)
MnSiO3 | the Materials Project | r2SCAN | relaxed; space group = No. 14
1.0
9.196 0.000 0.000
0.000 5.380 0.007
0.000 2.032 9.337
Si O Mn
8 24 8
direct
0.337 0.227 0.547
0.837 0.273 0.453
0.663 0.773 0.453
0.163 0.727 0.547
0.664 0.221 0.048
0.836 0.721 0.048
0.164 0.279 0.952
0.336 0.779 0.952
0.840 0.210 0.627
0.159 0.216 0.126
0.160 0.790 0.373
0.732 0.933 0.102
0.340 0.290 0.373
0.491 0.233 0.624
0.009 0.733 0.624
0.011 0.261 0.874
0.841 0.784 0.874
0.768 0.433 0.102
0.991 0.267 0.376
0.741 0.052 0.397
0.759 0.552 0.397
0.659 0.284 0.874
0.509 0.767 0.376
0.489 0.761 0.874
0.268 0.067 0.898
0.511 0.239 0.126
0.232 0.567 0.898
0.259 0.948 0.603
0.341 0.716 0.126
0.241 0.448 0.603
0.660 0.710 0.627
0.989 0.739 0.126
0.850 0.496 0.750
0.990 0.004 0.250
0.150 0.504 0.250
0.490 0.496 0.750
0.650 0.996 0.750
0.010 0.996 0.750
0.350 0.004 0.250
0.510 0.504 0.250

(3)
U3Sb4 | the Materials Project | r2SCAN | relaxed; E above lowest polymorph = 4.8 meV/atom; space group = No. 220
1.0
6.605 4.506 0.271
-0.995 -3.699 7.024
0.729 -5.455 -5.807
Sb U
8 6
direct
0.000 0.158 0.500
0.158 0.500 0.000
0.342 0.342 0.342
0.000 0.658 0.500
0.500 0.000 0.658
0.842 0.842 0.842
0.500 0.000 0.158
0.658 0.500 0.000
0.250 0.125 0.875
0.875 0.250 0.125
0.125 0.875 0.250
0.375 0.625 0.750
0.750 0.375 0.625
0.625 0.750 0.375

(4)
Zr5ZnSn3 | the Materials Project | r2SCAN | relaxed; space group = No. 193
1.0
-5.282 5.404 4.276
-3.128 -7.363 -3.374
1.194 -2.809 5.024
Zr Sn Zn
10 6 2
direct
0.733 0.000 0.250
0.267 0.000 0.750
0.000 0.267 0.750
0.333 0.667 0.500
0.000 0.733 0.250
0.267 0.267 0.250
0.733 0.733 0.750
0.667 0.333 0.500
0.667 0.333 0.000
0.333 0.667 0.000
0.385 0.385 0.750
0.000 0.615 0.750
0.385 0.000 0.250
0.615 0.615 0.250
0.000 0.385 0.250
0.615 0.000 0.750
0.000 0.000 0.500
0.000 0.000 0.000

(5)
LuAl2 | the Materials Project | r2SCAN | relaxed; space group = No. 227
1.0
1.691 4.252 2.967
• So much for the calculated crystals:

Rebecca |
That is Louise P |
That my frist girl kiss, so I f ind her,,,, We Mate |
That Louise,(She is Bisexual) I just
met her in FYD at 1997 or 1998 and we just mate for bit then not know her so much, at 2003 me and
heather talk abt her,, so she been there with me and heather in FYD,, we was shock it was her, that I not know that
it her, I just met her from Heather's,that time I not know it her so we good talk and have good funny and me
and her and heather go heather's Family for New Years at 2001-2002, we text each other was stand next me, I ask her,
"doing you like me" she say yeah, say said me was funny girl, later she sent me "want try kiss" I was neaven and I
say ok, try,, I never doing that before, I hold her hand, later when new year 2002 friework night,, I
hug her say happy new year and I feel like it, wait later, go back Heather's heather was Play Computer, me and her
was hide and ready to Kiss it, she was cool kiss, she my frist time girl of kiss, me and her and heather
went bowling and took have photo of us, she come my house for one with heather so we kiss again, so other day I Lost
her Num and e,mail, I never see her again so I lost her, I found out abt her in Fyd been with me, Other
day in 2003 I find her in Derby open, we not talk so much, cos she have boyfriend of my boyfriend John R, I
leave her, Other day again, on 2004, I met her again, other again Dreby Open and she have Daughter Four morth old,
she so sweet girl, I am happy she have Daughter so I will met My Friend John R, I not know that
he live Flat near Of her,, so I happy I met again and have mob num and e,mail, we see lots of time, I have
been look after bit of her Daughter Rebecca, we still mate again and good hug of her again, It good see her again

That Is Becky H, (She is Gay)
My First Girlfriend for 6 month, I met her at Heather's at Oct 5th 2003 and
with her in Heather's Brithday Nigthclub call Liquid, we talk each Other and with her all night, and buy her Drink and good
fun Talk us, other day, I have feel for her, then few day later, we talk on MSN and I ask her want date
with me and she said yeah,,so on Nov 19th 2003 she come my Place then went Pub for bit then went my House
and have talk and show abt my house and my Family and Cats,It late she went Back Derby,, I think abt how to
Kiss her, so we went ladies toilet, I make move first and kiss her,, bit long kiss, Then she went
back Derby, we text sent each other for bit,,so Other day heather want come see me on 21th Nov, Two day later she
come with heather again, we was went upstair for bit,Heather was Downstair play Computer, we have good
time, we have gift for our Valentine's day, we have been went Alton Towers on 15th April 2004 it
good time there, I have too Busy my college and my family, I haven't see her for ever one or two months so
I have Carzy my mind and fed up and I can't doing all same time and I dumped her, we no have talk each Other for one
or two months, so I have bit miss her cos it on summer I no have college for one month, she never Talk me On
Msn for long, Not see face to face yet, I hope we good mate in Future, xx
We Good Mate |

We still see each but I am busy, mm, |
That My First BoyFriend John R |
2000 Bf, finish then Again 2004 Bf back!! lol |
That John R, (He is Straight) my frist Boyfriend
when I am 16 year old, we met in Derby college, we with for 6 ot 7 morth, so on July 2001 I thought I never
see him again, so I back Derby again on Spet 2001, so he was there, but with new girlfriend, so I leave him and but we
still mate, I leave Derby on July 2002 and never see him again, other on 2003 I met him in Derby open with girlfriend Louise
P and just bit talk, and leave him, no see him for 1 year, I talk my other mate on msn, but he live flat near my
other mate's and he use my other mate's msn and see cam me and he was there, I was happy see him and he give
me Num mob and text each other, on July 2004, I went Derby open again on 2004 and Lousie P say John should come
Derby open and sse me but he was late sleep, so Louise P say came see John anytime, I say ok, that I not know she live near
of him, so I text John and I will met him Five day later and I met him at Train St and he say want
date with me, I say ok and met Louise and other girl Shelly and Baby. We have good talk and other, so I with John
for three month, we with again lol, It good I have him, he have funny boy and silly boy,,, but he nice boy, So Now
We Friend, I am his Girl, I still wiil visit see him, xx
That Mate Robert P From Becky's mate |
I Join mate with him, , He nice Boy, |
That Robert, (he is Gay) I just Heard him
form Becky's Mate, Becky give me his Email, and I Talk him on msn, Just few talk and help, so he ask me and he want see
me a Face to Face for his Birthday 18th, I with becky and Keiran on coach and frist met him, and he nice and funny boy, later I
met his Boyfriend Gordon and I not have talk him so lots cos he was hearing and shy, then we go to Bowling and
lhave good fun, later we go Pizza Hut and we have talk each other and go home and have drink and bit game, turth and
deal, all have funny thing,,like mix drink and wine and things, he like bit same me, he love DVD and Buffy
and Angel and Xena Warrior Princess, and Charmed, He was cool boy,
More Other My Mates